Here are my 10 key points from Brett Bartholomew’s book “Conscious Coaching: The Art & Science of Building Buy-In”
1) Buy-in is trust – a combination of loyalty, results, and consistent positive actions.
2) Relay information in a personal manner – this makes it more powerful. “Don’t just teach the lessons, tell the stories.”
3) Be patient about developing buy-in. “Athletes can be led, guided, and even loved, but may not be ready for change or to award trust at the same time that you are.”
4) “If you have identified your training philosophy before you have identified your coaching identity then you have misplaced your priorities.”
5) “When you get into a fistfight, it’s not the guy that is bigger, taller, stronger, or more powerful that you should fear; but rather the guy that isn’t fazed by the sight or taste of his own blood.”
6) Know who you are. “Becoming a better communicator first and foremost requires tremendous self-reflection.”
7) Be who you are. “It is authenticity, not mimicry, that best serves as the coach’s initial linchpin toward establishing a strong connection with others.”
8) “People who need to know the right “why” are typically the folks who were frustrated by math growing up as we were often told as kids that certain rules exist simply because “that’s the way it is.””
9) Adapt yourself to the world, not the world to yourself. “The reality is that YOU must treat people the way that THEY want to be treated.”
10) People want a wide range of emotions from their leader. “When coaching athletes, too much emotional stability can come across as emotional staleness, as it is the periodic expression of real emotions that serve as a psychological performance enhancer as it pertains to enhancing a leader’s credibility with those he/she hopes to influence (Kouzes & Posner, 2003).”
- “In some instances, researchers have even found that some of the most influential and successful leaders of all-time rank high in the trait of psychopathy, which is the opposite of emotional stability!”
- The “Teddy Effect” references Theodore Roosevelt and how he wasn’t scared to share his true personality and was able to leverage a wide range of traits and emotions while leading others.
## The page is interrupted by records of crystals
+++
1.
DFT (PBE) results for an optimized crystal structure of NdGa4Pt4.

electronic total energy	-95.04	eV/cell
space-group type	P4_2/nmc (137)
crystal system	tetragonal
energy relative to the elements	-720	meV/atom

```
data_NdGa4Pt4
_space_group_name_H-M_alt 'P 1'
_space_group_IT_number 1
_space_group_name_Hall 'P 1'
_cell_length_a 6.2198
_cell_length_b 6.2198
_cell_length_c 8.5161
_cell_angle_alpha 90.00
_cell_angle_beta 90.00
_cell_angle_gamma 90.00
loop_
_atom_site_label
_atom_site_type_symbol
_atom_site_fract_x
_atom_site_fract_y
_atom_site_fract_z
Pt1 Pt 0.7747 0.5000 0.8783
Pt2 Pt 0.5000 0.2253 0.1217
Ga1 Ga 0.5000 0.7890 0.8234
Pt3 Pt 0.0000 0.7253 0.3783
Nd1 Nd 0.5000 0.5000 0.5000
Pt4 Pt 0.7253 0.0000 0.6217
Ga2 Ga 0.5000 0.2110 0.8234
Ga3 Ga 0.0000 0.2890 0.6766
Pt5 Pt 0.2253 0.5000 0.8783
Ga4 Ga 0.0000 0.7110 0.6766
Nd2 Nd 0.0000 0.0000 0.0000
Ga5 Ga 0.7890 0.5000 0.1766
Pt6 Pt 0.2747 0.0000 0.6217
Ga6 Ga 0.2890 0.0000 0.3234
Ga7 Ga 0.2110 0.5000 0.1766
Pt7 Pt 0.5000 0.7747 0.1217
Ga8 Ga 0.7110 0.0000 0.3234
Pt8 Pt 0.0000 0.2747 0.3783
```

2.
DFT (PBE) results for an optimized crystal structure of Nd4GaPt.

energy relative to the lowest polymorph listed for this composition	0.00	kcal/mol of atoms
electronic total energy	-126.29	eV/cell
space-group type	F-43m (216)
crystal system	cubic
energy relative to the elements	-572	meV/atom

```
data_Nd4GaPt
_space_group_name_H-M_alt 'P 1'
_space_group_IT_number 1
_space_group_name_Hall 'P 1'
_cell_length_a 9.8937
_cell_length_b 9.8937
_cell_length_c 9.8937
_cell_angle_alpha 60.00
_cell_angle_beta 60.00
_cell_angle_gamma 60.00
loop_
_atom_site_label
_atom_site_type_symbol
_atom_site_fract_x
_atom_site_fract_y
_atom_site_fract_z
Nd1 Nd 0.1860 0.8140 0.1860
Ga1 Ga 0.1718 0.1718 0.1718
Nd2 Nd 0.9482 0.5518 0.9482
Nd3 Nd 0.8140 0.1860 0.8140
Nd4 Nd 0.3957 0.8128 0.3957
Nd5 Nd 0.3957 0.3957 0.8128
Nd6 Nd 0.9482 0.9482 0.5518
Nd7 Nd 0.1860 0.8140 0.8140
Nd8 Nd 0.9482 0.5518 0.5518
Nd9 Nd 0.5518 0.9482 0.5518
Pt1 Pt 0.6066 0.6066 0.6066
Pt2 Pt 0.1802 0.6066 0.6066
Nd10 Nd 0.5518 0.9482 0.9482
Nd11 Nd 0.8140 0.8140 0.1860
Ga2 Ga 0.4846 0.1718 0.1718
Pt3 Pt 0.6066 0.6066 0.1802
Ga3 Ga 0.1718 0.1718 0.4846
Nd12 Nd 0.8140 0.1860 0.1860
Nd13 Nd 0.1860 0.1860 0.8140
Ga4 Ga 0.1718 0.4846 0.1718
Nd14 Nd 0.5518 0.5518 0.9482
Pt4 Pt 0.6066 0.1802 0.6066
Nd15 Nd 0.8128 0.3957 0.3957
Nd16 Nd 0.3957 0.3957 0.3957
```


[1]
AcLaThCd | PBE-GGA | relaxed

Values from the calculation:
- E (Ry per atom) = -0.311
- volume (Å³/atom) = 33.42

abc: 8.1170 8.1170 8.1170
angles: 90.00 90.00 90.00
Closest atoms and distances in Å follow each position.
Space group F-43m (No. 216)
One atom of each set of equivalent atoms:
1 Ac 0.0000 0.0000 0.0000 [4 per cell]  4 La 3.51, 4 Th 3.51
2 La 0.2500 0.2500 0.7500 [4 per cell]  4 Cd 3.51, 4 Ac 3.51
3 Th 0.2500 0.2500 0.2500 [4 per cell]  4 Cd 3.51, 4 Ac 3.51
4 Cd 0.0000 0.0000 0.5000 [4 per cell]  4 Th 3.51, 4 La 3.51

[2]
Tb4Pr3Dy8 | PBE-GGA | relaxed

Values from the calculation:
+++
## The page goes on
- “One narrative throughout history that will never change is that the most effective leaders are able to shift between both bright-sided and dark-sided emotional states.” – being who we really are.
To learn more about Brett’s art and science of building buy-in, how to approach the 16 athlete archetypes, and methods to deal with coach-athlete relational roadblocks, purchase the book here.
Jake introduced his Hypertrophy Cluster Training to me while I was at Judson University coaching. We were looking for a program to start our players on to start our spring strength training. Myself and the rest of the coaching staff didn’t have enough knowledge on how to help our guys get to the next level. The first three weeks of our strength training you could see that they were getting stronger and gaining mass. The program was laid out in a format that was easy for our guys to understand so we could get maximal results. I thought our strength program definitely took a big step while using this program.
Cole Schreiner - Northland College Assistant Men's Basketball Coach